Monday 29 September 2008

Comparison Of Experimental Videos

I chosen Ludisa Work and the Telling Lies work to be compare


Year 2007

2.Simon Eliss

Well think Ludias work was a well good piece and has a positive view. Compare to the telling lies work Ludias work is more diegetic has you could see where the sound was coming from. Ludias work had no story line as well has the telling lies work(Simon Eliss). I would compare it base also on the audio as the telling lies work was base on the day before. The Ludias work was at the present time the sound was recorded live and wasn't talking or base on anything. The concept of the Work of Ludias was that you can create music without any instrumental
equipment. The concept of the telling lies work is different for the work of Ludias as it was base on people telling lies to each other on the phone. In the telling lies work you could not see where the sound and voice are coming from. I would personally say the telling lies work is more craft than conception as their were only written words on the video it was base audio type.

What Does Craft Mean?

Craft mean usually something you made with your hand but in this context it still mean that but with a bit more visual and it doesn't mean it can't be audio. The definition is something you made with you hand which can have a conception or not

What Does Conception?

Conception mean what is the reason behind it. Let say you watch a film then you want to know the meaning and what is the reason behind. You would want to know what the author was thinking while doing it.

Sunday 28 September 2008

1001 Nights

Records of crystals, kept here for reference:
'''
1.
Material: TlCo3Pd
Method: DFT, PBE-GGA
State: relaxed

## Properties
- calculated formation energy (meV/atom) = 1202
- DOS at the Fermi energy (states/eV per atom) = 1.489
- total DFT energy (no corrections) (eV per atom) = -4.574
- relative energy among the computed polymorphs (meV per atom) = 0

Cell lengths 4.640, 4.640, 4.640 Å; angles 90.00, 90.00, 90.00 degrees
Space group Pm-3m (No. 221)
One atom of each set of equivalent atoms:
1 Tl 0.000 0.000 0.000 [1 per cell]
2 Co 0.000 0.500 0.500 [3 per cell]
3 Pd 0.500 0.500 0.500 [1 per cell]

=====

2.
Material: TlCo3Pd
Method: DFT, PBE-GGA
State: relaxed

## Properties
- calculated formation energy (meV/atom) = 1808
- DOS at the Fermi energy (states/eV per atom) = 2.240
- total DFT energy (no corrections) (eV per atom) = -3.967
- relative energy among the computed polymorphs (meV per atom) = 607

Cell lengths 4.729, 4.729, 4.729 Å; angles 90.00, 90.00, 90.00 degrees
Space group Pm-3m (No. 221)
One atom of each set of equivalent atoms:
1 Tl 0.000 0.000 0.000 [1 per cell]
2 Co 0.000 0.000 0.500 [3 per cell]
3 Pd 0.500 0.500 0.500 [1 per cell]

=====

Please write out number 1 again, unchanged.
Material: TlCo3Pd
Method: DFT, PBE-GGA
State: relaxed

## Properties
- calculated formation energy (meV/atom) = 1202
- DOS at the Fermi energy (states/eV per atom) = 1.489
- total DFT energy (no corrections) (eV per atom) = -4.574
- relative energy among the computed polymorphs (meV per atom) = 0

Cell lengths 4.640, 4.640, 4.640 Å; angles 90.00, 90.00, 90.00 degrees
Space group Pm-3m (No. 221)
One atom of each set of equivalent atoms:
1 Tl 0.000 0.000 0.000 [1 per cell]
2 Co 0.000 0.500 0.500 [3 per cell]
3 Pd 0.500 0.500 0.500 [1 per cell]

* * * * *

A relaxed structure of RbCrSb2. Source: the Alexandria database, functional PBE.

Computed properties:
As for the density of states at the Fermi level: 5.0 states/eV per cell. The total energy comes out at -4.583 eV/atom. The total moment comes out at 2.00 Bohr magnetons per cell. The space group is I4_1/amd.

Cell lengths 8.609, 8.609, 8.609 Å; angles 134.13, 134.13, 66.89 degrees
Fractional positions:
Rb: 0.375 0.625 0.750
Rb: 0.625 0.375 0.250
Cr: 0.125 0.875 0.250
Cr: 0.875 0.125 0.750
Sb: 0.000 0.000 0.000
Sb: 0.000 0.000 0.500
Sb: 0.000 0.500 0.000
Sb: 0.500 0.000 0.500

* * * * *

(1)
La3Tb5Er2 | PBE | optimized geometry

The raw total energy comes out at -180.7 eV for the cell shown. The value obtained for the total magnetic moment is 0.0 μB per formula unit. Its formation energy is 18 kJ/mol of atoms. The theoretical density is 7.57 Mg/m³. The value obtained for the volume is 33.9 Å³ per atom.
'''
The records of crystals stop here:

1001 Nights

Jananne Al-Ani

Black background it is strange to me it maybe be the only one of its kind. It began with that first woman was talking about one day night time. she wake up an hear the sound of guns and bome. She realize that she was alone with her four children in her house, her husband wasn't there. She wakes her children up and get the to the car safely then realize that she can't drive. Then each of the other women start to explain their experience in war as mums, wife and women. One of these women while explain what happen to her in war were agitating around i think it does bother her to explain about war.

Koyaanisqatsi, Telling Lies -Simon Elli


Life out of Balance
Director: Godfrey Reggio
Year: 1983

I think this film has many meaning to different people to me i think it represent where life begin and still going on. At the beginning of the film we saw empty places with vegetation all over the place then a cave with writing on the wall. Also showing the sun reflecting on the mountain to create shadows that to me represent darkness which was about to begin.
Showing desert place no water and no life around. Then in the middle of the film it show life people walking fast, city and how it can be over crowed. It shows how the city can be organize some time. At some point in the film shadows of clouds in the sky reflect on the building in the city. For a moment in the film no sound only shot of scene i found it very calm. The film show also a part of the city which was more affected bye these destruction. Now we seeing fastest shot of the film of people talking, eating, driving, spending, working and producing products. Now everything has slow down but destruction of the plant still going
on. Back to the Caveman as it is the circle of life going on.

Telling Lies -Simon Elli

The telling Lies made its focus on sound as it an audio experimental video. The visual wasn’t that good but the subject of the conversation was intense. The express of craft was visible which express what the characters truly mean. The video itself contain a strong concept on it own. Simon Elli has base his experimental video more on audio than visual. He use colour on the text to make more visible. By telling the true in the form of writing in the video he manages to keep his audiences focus. The Telling Lies work express a Story line about the day before what happen that time and the main point that the author was trying to express was how people would Lies to get away from trouble.

Monday 22 September 2008

Definition of experimental Video

Experimental video, video art, electronic art, alternative TV, community video, guerrilla television, computer art: these are a few of the labels that have been applied to a body of work that began to emerge in the United States in the l960s. Arguably, the most important of these labels is "experimental." The dominant goal of this video movement over the past 30 years has been change, achieved through the strategy of experimentation. The consistent target for this change has been television--commercially supported, network broadcast, mainstream television--whose success with mass audiences was the result of the repetition of proven formulas rather than aesthetic, ideological or industrial innovation or experimentation. It is perhaps commercial television's ability to interpret the uncertain world within the context of familiar conventions that makes it an essential part of everyday life in America. And it is this body of familiar interpretations that became the challenge of experimental video artists.

What I would Expect to do for experimental Media

I would Expect to create Lots of different shot of anything really that my audiences would find it new and experience an unusual view about it. Also I would expect to observe other work of other people.

What Does Experimental Media Mean

Well from my knowledge of video and photograph, I guess experimental media mean doing something unusual with the footage. Also by doing this experimental Media (video) you would decide if you want to give it a meaning and it is similar to the expression call decisive moment which is sometime letting the finish product in your shotand come to you. Some time you would want to put different angle of shot to make it look dramatic. Also using a mix pictures, videos and audio sound effect can help to make it look very experiment.